Saturday, December 27, 2003

The suspense is killing me!

Let's see... where was I?  I think it was the night before Christmas...  The new front porch wasn't ready by Christmas Day, in fact the steps weren't even finished.  But... everything will be done by Monday night.  Joe is going to install the lattice under the porch, paint the lower part of the cement wall below the siding, and power wash the porch, the stone walls and the driveway.  We will have to stop renovating for a few months and start paying off some of the loans.  In the meantime I've been learning a lot about leaking basements. We've had two estimates from water proofing companies so far.  At this point, I am only sure of one thing.  I never, ever want to have another basement.  For the rest of my life.  Even after that.  I'm am now going to be cremated.  I had agonized over that decision for many years but Ray helped me make up my mind in just one week.  Thanks, honey!

Christmas was wonderful.  Even though we didn't have a tree. Or Christmas lights.  Or stockings hanging by the chimney with care.  Oh... but we will next year!!  I went to a few really great After-Christmas Sales on Friday.  50-70% off all Christmas decorations.  Ray didn't like the ones that I had.  So I bought us dozens of new ones!  I didn't really save us a lot of money.  I was just able to buy a lot more stuff!  I can hardly wait until next Christmas!  I'm hoping that everything will be finished by then.  We want to add on a new dining room and completely redo the kitchen.  Ray wants to tear out the fireplace and put in a new one.  I want to have the hard wood floors re-sanded and polished.  Joe wants to put on 3 more decks.  Not porches... decks.  And we'd like to paint the driveway and get new carpeting.  I might even try to make my childhood dream of digging a tunnel to China come true.  Only kidding about the tunnel.  My only dilemma now is:  Should I keep up my Journal after we finish the porch next week or stop writing until we start renovating again?  I did want to keep my subject pure and focused...  Even though I have never been pure and focused about anything before...  Hmmm.


Anonymous said...

You silly goofball! How could you think of halting your journal just because you're not renovating. I'm not always surrounded by nincompoops. That's the theme of my journal. Sometimes I'm surrounded by complete morons, which is quite different and off the subject. I keep writing anyway.

Anonymous said...

Oh keep writing. LOL! I'd miss you and so would everyone else.
I'm wondering, after all of this work, don't you wish you would have knocked the place down and rebuilt it? LOL! : )

Attached: calculated molecules
'''
The following is a quantum chemistry calculation of 2 unconnected molecules or ions with the total composition C4H8O2, from the OMol25 dataset.

Last column: natural (NBO) charge in e.
CARTESIAN COORDINATES (ANGSTROEM)
1 O 2.12 0.68 1.56  -0.93
2 O -2.28 1.30 -0.95  -0.52
3 C -0.38 -0.08 -0.50  -0.14
4 C 0.89 -0.26 -0.87  -0.31
5 C -1.12 -0.92 0.50  -0.65
6 C -1.10 1.06 -1.12  0.40
7 H -1.69 -1.72 0.02  0.24
8 H 2.16 -0.27 1.71  0.46
9 H 1.24 0.82 1.21  0.47
10 H -0.48 1.71 -1.77  0.11
11 H -0.42 -1.37 1.21  0.21
12 H 1.39 0.40 -1.57  0.21
13 H 1.50 -1.08 -0.48  0.20
14 H -1.84 -0.30 1.05  0.24

## Properties
- strongest force on any atom (eV Å⁻¹) = 0.7
- E_LUMO (eV) = 0.1380
- frontier orbital gap (eV) = 10.338
- SMILES = C=C(C)C=O.O
- total charge = 0

----------

# 1
Molecular formula: C3H8NOPS2
Method: DFT, ωB97M-V/def2-TZVPD

```
16
C3H8NOPS2 (ωB97M-V/def2-TZVPD)
C 2.098 1.486 0.046
C 1.208 0.921 1.267
C -2.167 -2.414 -0.703
N 1.968 0.523 -0.998
O -0.163 1.184 1.071
P -1.041 0.374 -0.079
S -2.748 1.269 -0.369
S -1.129 -1.629 0.594
H 1.649 2.561 0.016
H 3.189 1.363 0.522
H 1.587 -0.140 1.159
H 1.399 1.564 2.066
H -2.864 -3.217 -0.283
H -1.590 -2.750 -1.442
H -2.848 -1.737 -1.030
H 1.452 0.642 -1.838
```

Output
Energy relative to the best compared isomer or geometry (same formula, charge and spin) ... 5.446 eV
HOMO-LUMO gap ... 5.5 eV
LUMO level ... -2.366 eV
HOMO energy ... -7.9 eV
Net charge ... 0

# 2
Molecular formula: C20H28N2O3
Method: DFT, ωB97M-V/def2-TZVPD

```
53
C20H28N2O3 (ωB97M-V/def2-TZVPD)
C -0.480 -3.719 -0.559
C 1.073 -3.432 -1.000
H 1.138 -2.765 -1.959
H 1.553 -4.377 -1.111
O 1.579 -2.849 -0.112
C 1.472 -1.428 0.002
O 0.932 -0.876 -0.803
C 2.164 -0.693 1.044
C 3.564 -1.211 1.236
C 4.525 -0.725 0.200
C 4.347 1.044 0.210
N 2.928 1.355 -0.116
C 2.221 0.632 0.971
H 2.585 1.297 2.089
H 1.175 1.168 0.806
C 2.805 2.637 -0.192
C 1.776 2.737 -1.279
C 0.338 2.893 -0.581
O 0.115 4.022 -0.092
N -0.388 1.866 -0.741
C -1.680 1.502 -0.471
C -2.559 2.513 0.449
C -3.709 2.160 0.789
C -4.220 0.816 0.669
C -3.354 0.021 -0.422
C -2.014 0.232 -0.629
H -1.457 -0.674 -1.153
C -4.013 -1.310 -0.336
H -3.998 -1.965 -1.174
H -3.625 -2.207 0.516
C -5.506 -1.011 -0.060
H -6.084 -1.969 0.338
H -5.994 -0.841 -0.925
C -5.486 0.005 0.854
H -6.348 0.728 0.717
H -5.407 0.064 1.973
H -4.295 2.769 1.081
H -2.076 3.435 0.737
H 0.110 1.075 -1.258
H 1.669 2.246 -1.993
H 1.976 3.795 -1.640
H 3.667 3.096 -0.529
H 2.589 3.231 0.612
H 4.768 1.103 1.166
H 4.907 1.292 -0.704
H 4.287 -1.123 -0.762
H 5.606 -1.100 0.386
H 4.137 -1.046 2.334
H 3.650 -2.234 1.217
H 1.456 -0.956 2.080
H -1.064 -2.745 -0.587
H -0.560 -4.225 0.242
H -0.795 -4.255 -1.530
```

Output
Energy relative to the best compared isomer or geometry (same formula, charge and spin) ... 17.769 eV
HOMO-LUMO gap ... 7.9 eV
LUMO level ... 0.507 eV
HOMO energy ... -7.4 eV
Net charge ... 0

# 3
Molecular formula: C39H28BrN4O6Ti
Method: DFT, ωB97M-V/def2-TZVPD

```
79
C39H28BrN4O6Ti (ωB97M-V/def2-TZVPD)
'''

Anonymous said...

I was worried about better keep writing. Anything you would write about would be something I would want to read. So please write write write or i will cry and emailing you and nag you! I would miss you terribly. You must write even if its for me only which it isn't! You are the very first journal I ever read before I had a journal..I clicked on your website and became inspired by you! Then I showed my mom it and the rest is history.

Anonymous said...

You are AMAZING. I read your webpage and your journal and you're very funny, very smart and amazingly talented. Thanks for sharing your world with us.

Anonymous said...

You went shopping on the 26th?! I knew you were nuts.

Keep the Journal. There's no law written in stone that your entries have to be about house renovations. Really.

Pure and focused is overrated. Do you know ANYone like that? I don't. And I wouldn't want to either. Bah!

Anonymous said...

Keep writing. :-) Or at least post the web address of your other journal on the last page of this one so that we can continue to follow along. :-)